Wanted:
Your job: filter the block underneath: keep the lines with the word "equivalent".

Listing:
/*
Entry 1:
# AcHf2Pt2
Computed X-ray diffraction stick pattern, Cu Kα (weighted mean of Kα1 and Kα2). Input: a structure optimized by DFT (GGA-PBE).
Peak positions follow from Bragg's law for the DFT cell and can differ from measured ones.

Unit cell a=4.652 b=4.652 c=11.109 alpha=90.00 beta=90.00 gamma=90.00
Space group I4/mmm (No. 139)
One atom of each set of equivalent atoms:
Ac 0.000 0.000 0.000 x2
Hf 0.000 0.500 0.250 x4
Pt 0.000 0.000 0.374 x4

The 10 most intense peaks (15 to 90 degrees two-theta), low angle first:
h k l, 2θ (°), Rel. int.
1 0 3, 30.86, 82
1 1 2, 31.61, 100
2 0 0, 38.71, 83
1 1 4, 42.60, 37
1 0 5, 45.23, 27
2 1 3, 50.30, 43
2 2 0, 55.90, 29
1 1 6, 57.08, 21
2 1 5, 61.01, 23
3 1 2, 65.65, 25


Entry 2:
# LaPr2US8
Computed X-ray diffraction stick pattern, Cu Kα (weighted mean of Kα1 and Kα2). Input: a structure optimized by DFT (GGA-PBE).
Peak positions follow from Bragg's law for the DFT cell and can differ from measured ones.

Unit cell a=4.728 b=9.227 c=6.816 alpha=90.00 beta=90.07 gamma=90.00
Space group P2/m (No. 10)
One atom of each set of equivalent atoms:
La 0.000 0.000 0.000 x1
Pr 0.500 0.248 0.500 x2
U 0.000 0.500 0.000 x1
S 0.000 0.276 0.242 x4
S 0.500 0.000 0.252 x2
S 0.500 0.500 0.218 x2

The 10 most intense peaks (15 to 90 degrees two-theta), low angle first:
h k l, 2θ (°), Rel. int.
1 0 1, 22.89, 94
0 2 1, 23.28, 94
1 2 0, 27.00, 22
1 2 2, 37.94, 100
2 0 0, 38.06, 25
0 4 0, 39.05, 22
1 0 -3, 44.23, 18
0 2 3, 44.45, 16
2 2 -1, 45.10, 33
1 4 1, 45.74, 30


Entry 3:
# Fe2NiRu
Computed X-ray diffraction stick pattern, Cu Kα (weighted mean of Kα1 and Kα2). Input: a structure optimized by DFT (GGA-PBE).
Peak positions follow from Bragg's law for the DFT cell and can differ from measured ones.

Unit cell a=2.606 b=3.555 c=5.164 alpha=90.00 beta=90.00 gamma=90.00
Space group Pmm2 (No. 25)
One atom of each set of equivalent atoms:
Fe 0.000 0.000 0.000 x1
Fe 0.500 0.500 0.258 x1
Ni 0.000 0.000 0.495 x1
Ru 0.500 0.500 0.764 x1

The 10 most intense peaks (15 to 90 degrees two-theta), low angle first:
h k l, 2θ (°), Rel. int.
0 0 1, 17.17, 11
1 1 0, 43.03, 100
0 1 2, 43.31, 97
1 0 2, 49.71, 64
0 2 0, 51.40, 29
2 0 0, 72.55, 10
0 0 4, 73.33, 9
1 2 2, 74.30, 35
2 1 2, 88.42, 22
1 1 4, 88.98, 22


Entry 4:
# NaCu2BrCl2
Computed X-ray diffraction stick pattern, Cu Kα (weighted mean of Kα1 and Kα2). Input: a structure optimized by DFT (GGA-PBE).
Peak positions follow from Bragg's law for the DFT cell and can differ from measured ones.

Unit cell a=6.510 b=5.132 c=8.874 alpha=90.00 beta=109.05 gamma=90.00
Space group P2_1/m (No. 11)
One atom of each set of equivalent atoms:
Na 0.247 0.250 0.100 x2
Cu 0.067 0.000 0.654 x4
Br 0.275 0.250 0.510 x2
Cl 0.100 0.750 0.182 x2
Cl 0.318 0.750 0.852 x2

The 10 most intense peaks (15 to 90 degrees two-theta), low angle first:
h k l, 2θ (°), Rel. int.
1 1 1, 26.93, 78
1 1 -2, 27.63, 100
1 0 2, 29.43, 39
2 0 -3, 35.65, 31
1 2 -1, 38.16, 35
2 0 2, 41.71, 61
2 0 -4, 43.58, 33
2 2 -1, 45.00, 64
2 2 0, 46.04, 57
0 2 3, 48.13, 76


Entry 5:
# Pm9PrEr2
Computed X-ray diffraction stick pattern, Cu Kα (weighted mean of Kα1 and Kα2). Input: a structure optimized by DFT (GGA-PBE).
Peak positions follow from Bragg's law for the DFT cell and can differ from measured ones.

Unit cell a=5.133 b=5.133 c=15.401 alpha=90.00 beta=90.00 gamma=90.00
Space group P4/mmm (No. 123)
One atom of each set of equivalent atoms:
Pm 0.000 0.000 0.000 x1
Pm 0.000 0.000 0.336 x2
Pm 0.000 0.500 0.170 x4
Pm 0.000 0.500 0.500 x2
Pr 0.500 0.500 0.000 x1
Er 0.500 0.500 0.335 x2

The 8 most intense peaks (15 to 90 degrees two-theta), low angle first:
h k l, 2θ (°), Rel. int.
1 1 3, 30.16, 100
2 0 0, 34.96, 51
2 2 0, 50.27, 36
3 1 3, 59.75, 43
2 2 6, 62.70, 12
4 0 0, 73.85, 6
3 3 3, 81.78, 18
4 2 0, 84.39, 16


Entry 6:
# Ni8Os
Computed X-ray diffraction stick pattern, Cu Kα (weighted mean of Kα1 and Kα2). Input: a structure optimized by DFT (GGA-PBE).
*/

Completed:
One atom of each set of equivalent atoms:
One atom of each set of equivalent atoms:
One atom of each set of equivalent atoms:
One atom of each set of equivalent atoms:
One atom of each set of equivalent atoms: